Jerry Smith for Woodlands, TX Board of Directors
____________
Computed, not measured: Sr3InAu3 after structural relaxation at the GGA-PBE level of DFT.

Density of states at the Fermi level, states/eV/cell: 7.304
SG: C2/m
M_tot, μB/f.u.: 0.000
Formation energy from the elements, eV/atom: -0.6936

Lattice parameters (Å, degrees): 4.5453 6.5239 14.9641 84.29 81.26 69.61
Positions (direct):
Au (0.1115, 0.8537, 0.9232)
Au (0.9744, 0.8193, 0.2319)
Au (0.8885, 0.1463, 0.0768)
Au (0.0256, 0.1807, 0.7681)
Au (0.1249, 0.2942, 0.4560)
Au (0.8751, 0.7058, 0.5440)
In (0.7649, 0.0658, 0.4044)
In (0.2351, 0.9342, 0.5956)
Sr (0.6059, 0.7115, 0.0767)
Sr (0.3941, 0.2885, 0.9233)
Sr (0.2619, 0.2479, 0.2283)
Sr (0.7381, 0.7521, 0.7717)
Sr (0.5167, 0.3466, 0.6199)
Sr (0.4833, 0.6534, 0.3801)
____________
Jerry D. Smith Jr., Psy.D.
Senior Psychologist & Forensic Consultant | Led Top-Ranked Crisis Negotiation Team | Leadership Development Expert in Government & Private Sectors | Championing Respect, Empathy, and Mindful Leadership
My name is Jerry D. Smith Jr. I am a resident of The Woodlands, TX, a husband, a father, a licensed psychologist, and a former federal law enforcement officer. I own a small psychology firm with offices in Magnolia and Huntsville.
I have announced my candidacy for The Woodlands Township Board of Directors, Position 1.
This group has been established for anyone seeking to learn more about my campaign, wanting to get involved, or simply wanting to add to a productive conversation about the needs of The Woodlands. In the spirit of transparency, which I strongly believe in, this is a public group where individuals are welcomed to share their thoughts and opinions in a respectful manner. This campaign is about the empowerment and unification of our community.
I have tried to articulate my platform in a simple, straight-forward manner. However, my belief is that leadership is not just about my ideas, but about all of our ideas. This is why I fully expect this platform to continue to fine-tune itself as community members provide more and more input on the future they want for The Woodlands. I believe a leader should be welcoming to as many ideas as possible and then make principled decisions based on the leader's experience, expertise, and conscience. Leaders should be able to make tough decisions based on the interests of their constituents and be held accountable by the people they represent.
Why am I running?
Our whole country is going through a time of reflection, catharsis, and change. I believe The Woodlands can be an example to the rest of the state, and indeed the country, of how people from different backgrounds and experiences can work together to uplift a whole community. We have the resources, the people, and the opportunity to make The Woodlands into the utopia we all know it can be. We are at a pivotal moment with issues such as incorporation, coronavirus, and a national discussion on racism and I want to help steer our course locally. My idea of leadership is based not on just pushing my own personal ideas but listening to the people and using my experience, expertise, and principles to enact the will of the people. This is what we need at this time.
Platform (What I want to accomplish):
Economic & Environmental Stewardship -
We will work with the Economic Development Partnership to build an economy that does not just return us to pre-COVID status but can withstand future long-term social disruptions. We will bring in new and novel ideas to deal with the flooding issue, improve our roadways, and encourage green energy locally. One such innovative idea can be found at
Community Unity -
Standing behind our motto of “Empowered Together,” we will continue to uphold and strengthen our tradition of cultural inclusion and respect. We will empower our community members to create new opportunities to come together and bond over our common goals and dreams. We will also revitalize the unique cultural aspects of each our villages.
Civic Responsibility -
We want to decide the Incorporation issue and remove the sense of stagnation and paralysis over our community that comes with not knowing where we are headed. We plan to build a robust mental health system that integrates intelligently with law enforcement, medical facilities, and local community resources to address the outrageous suicide rate in our local area. This is an area we need to do better. Innovative ideas such as a "Virtual Crisis Care" program being tested elsewhere in our country will help us address this issue. Finally, we will bring true transparency in local decision making.
Principles (How I make decisions):
Leaders must listen to their constituents as alone we do not have all the answers. It is our responsibility to welcome all ideas and provide due consideration. Leaders must also be able to make the tough call and these decisions should be made from a place of strong principle. Every decision I make will be guided by the following principles:
1) How I treat individuals: “The Golden Rule” – Treat others like you want to be treated.
2) How I treat my community: I am my brother’s keeper.
3) How I perceive the world: Human beings are innately driven to be better and are limited only by the options they are able to see in front of them.
4) Government should provide the most benefit for the least cost. Period.
Please join my Facebook group at and join me on this journey.
Independent Accounting Professional
4 年On the issue of incorporation, I will only vote for candidates that promise to put it on the ballot ASAP. As we sit on our hands and the population of Montgomery County grows, The Woodlands loses its influence on the $ it sends to the county. As it is, we only have a clean vote for Noack; Riley represents a portion of The Woodlands and he doesn't much care for that portion because he knows they don't count enough for him to care. We can influence the the judge's seat but that influence dwindles as our percent also declines county-wide. To the questions of whether we can use a road for the IM TX event or do we have enough police protection, our county government isn't fighting for us. Worse, the county philosophy is trees don't pay taxes. How does that affect us? Responsible development that addresses detention of rainwater runoff is key. Montgomery County has the worst drainage standards in the San Jac watershed. When we become a city we'll have the power to dictate that development be done responsibly. There's a group called Township Future - check them out, any candidate those folks have been for has lost big-time because voters here are smart. Woodlands residents are wise to vote to make this the best hometown it can be. Most are NOT for Woodlands Parkway to go through to the west or Gosling to go through the state forest or more skyscrapers or converting our village centers into high rise apartments or whatever other horrible idea the build baby build group is for. That's why Gordy always wins by huge margins. I can't remember the last time or if ever he was challenged by someone that was also for incorporation. That's why he's so successful. The BBB (that's build baby build) group will claim that the Noack consulting groups tax rate projections are "wishful thinking" - well the tax rate is going to be on the ballot and they'll have to stick to it, let the residents decide. Besides, the state already has layer upon layer of legislation to require that taxing authorities send tax rate increases to a vote of the governed. We've been studying this for 20 years. Incorporate already; thank you for your time.
Jerry, One other issue that should be a hot button is flooding and drainage. The current administration has done very little to alleviate the potential problems. I am a member of the Drainage Task Force and had asked them to distriubute the following info to the community so people who might be in danger of flooding would know. They said they would but did not. some 3300 home in TW are subject to water damage they should all be aware of it so they can buy flood insurance which is cheap before you flood, market rates after.
Jerry, I like it, it is well written and thoughtful. The thing that you have to do is to get others to read it and understand it, some of your sentences are a bit nuanced for the average person (the income level may be high in The Woodlands, but appears to have been overinflated by the oil industry, the average person is probably not as you think he/she is.) Incorporation will be a big issue and basically you have taken a pass on it. Gordy will be for it. Don't know where Kechline is. You need to be neutral yourself on the issue, let it be decided by a vote in the community. Your position should be to make sure the numbers (the new tax rate per $100) is based on are the numbers that people can rely on and know specifically what they are getting. I personally believe the numbers used so far have been based on optimistic assumptions about road life, the need for shoulders and the like. connect with Jimmy Dotson to see shat he thinks of the the police cost. Those are the two big items. The main problem you have is getting people to read your stuff. Gordy has a gigantic advantage. Good luck. Bruce